[What to do]
It remains to find "-0.3 -0.1" and "-2.1 1.3" in the calculation results below, and print these two lines and those between.

[Listing]
____________
No. 1
This record from OMol25 describes a structure of composition C6H24N12O6Tl. The level of theory is ωB97M-V with the def2-TZVPD basis set.

Geometry as XYZ:
```
49
Properties=species:S:1:pos:R:3:forces:R:3
Tl -0.106020 -0.924211 -0.335431 -0.2 1.6 0.9
C 3.289293 0.002399 1.196811 0.7 0.4 0.2
O 2.128689 0.318356 0.838441 -0.8 -0.5 -0.2
N 3.848157 0.660324 2.232118 -0.3 -0.2 0.1
N 4.048784 -0.888597 0.531962 -0.3 -0.2 -0.2
H 3.265521 1.283816 2.765743 0.0 0.0 0.0
H 4.815177 0.586508 2.503209 0.1 -0.1 -0.2
H 4.983070 -1.139792 0.809104 0.0 0.1 0.1
H 3.717929 -1.246356 -0.347985 0.0 0.1 -0.1
C 1.762064 -2.732377 2.705729 0.7 -0.5 0.6
O 0.995404 -2.041933 1.991883 -0.4 0.1 -0.9
N 2.917967 -3.285169 2.285470 -0.8 0.6 0.0
N 1.461548 -2.886581 4.016268 -0.2 0.3 -0.8
H 3.135978 -3.200699 1.311252 0.4 -0.1 0.1
H 3.534121 -3.720811 2.948672 0.1 -0.3 -0.3
H 0.495822 -2.741464 4.254032 0.1 0.1 0.4
H 2.149948 -3.163425 4.694623 -0.2 -0.2 0.2
C -3.981604 -0.728355 -0.738427 -0.3 -0.4 -0.4
O -2.823130 -1.130183 -0.436624 1.0 0.1 0.1
N -4.539854 0.356743 -0.176989 0.9 0.0 0.1
N -4.706026 -1.468961 -1.602602 0.2 0.4 0.3
H -5.352322 0.834183 -0.528755 -0.1 -0.2 -0.1
H -3.914525 0.845755 0.444967 -0.3 0.2 0.2
H -5.713446 -1.459296 -1.560743 0.0 -0.1 -0.2
H -4.222048 -2.257396 -1.999618 -0.3 -0.2 0.0
C 1.999165 2.068621 -2.128808 1.3 -0.3 -0.1
O 1.554323 0.993591 -1.668320 -0.9 -0.1 -0.2
N 3.113933 2.618548 -1.586210 -1.0 -0.1 -0.2
N 1.575444 2.619054 -3.286966 -0.7 0.3 0.1
H 3.422496 2.208288 -0.724996 0.3 0.3 0.0
H 3.502461 3.459013 -1.976902 0.3 0.0 0.3
H 0.677398 2.342628 -3.648240 0.1 -0.3 0.1
H 1.856229 3.547615 -3.561359 0.2 -0.1 0.1
C -1.139109 0.228280 -3.793935 0.1 1.5 0.2
O -0.575676 -0.512522 -2.966376 -0.1 -1.0 0.8
N -1.358303 -0.145910 -5.071416 0.4 -0.5 0.5
N -1.467715 1.535277 -3.533349 0.1 -0.8 -0.5
H -0.937265 -1.017420 -5.355259 -0.2 -0.1 -0.1
H -2.156912 0.195923 -5.579912 0.1 0.1 -0.1
H -1.513886 1.918985 -2.609108 0.1 -0.1 0.1
H -1.576514 2.123518 -4.342840 -0.4 0.3 0.2
C -1.962799 0.430841 2.733221 -0.8 0.2 -1.1
O -1.297018 -0.390091 2.060054 0.7 -0.2 -0.1
N -2.526601 0.079507 3.895586 0.2 -0.2 0.4
N -2.321493 1.651079 2.229713 -0.1 -0.6 0.5
H -2.969110 0.725826 4.529045 0.0 0.2 -0.2
H -2.381721 -0.838543 4.280816 0.1 -0.1 -0.3
H -1.778915 2.072143 1.499352 0.1 0.1 0.1
H -2.928913 2.213248 2.803094 0.2 0.4 -0.2
```
Positions in Å, forces in eV/Å.

Results
total charge	+3
energy above the lowest of the compared OMol25 structures with the same formula, charge and spin	428.6	kJ/mol
HOMO level	-17.972	eV

---

No. 2
This record from OMol25 describes a cluster of 5 separate species, C6H24N2O4 in total. The level of theory is ωB97M-V with the def2-TZVPD basis set.

Geometry as XYZ:
```
36
Properties=species:S:1:pos:R:3:forces:R:3
N 0.819412 2.233632 -0.543477 -0.2 -0.2 1.1
C 1.466192 0.947186 -0.707801 1.1 -1.2 -2.6
C 2.973732 1.102535 -1.065060 0.7 1.0 0.4
C 0.803022 0.182857 -1.939488 1.9 1.6 0.0
N -0.551223 -0.216187 -1.706887 -2.0 -0.4 -0.9
C -0.868588 -1.527007 -1.108275 -0.7 0.6 1.2
C -0.364136 -1.572377 0.406925 1.2 -1.8 -2.5
C -0.178021 -3.054383 0.753978 0.7 -0.1 0.4
H 0.432373 2.313444 0.396449 0.2 0.3 -0.2
H 1.480331 2.991544 -0.657094 0.0 0.0 0.0
H 1.493614 0.277731 0.151683 -0.5 0.6 0.1
H 3.500328 1.045860 -0.070080 0.1 0.2 -1.3
H 3.179799 2.083535 -1.567064 -0.3 -0.4 0.8
H 3.442109 0.436810 -1.823572 -0.7 -0.3 0.9
H 1.563856 -0.629197 -2.161919 -1.1 0.4 -0.3
H 0.849142 1.034774 -2.760685 -0.2 -2.1 1.3
H -1.126217 -0.147491 -2.560151 0.6 0.2 0.6
H -0.558914 -2.351662 -1.745301 1.1 -0.4 0.3
H -1.976970 -1.767561 -1.157405 0.8 1.0 0.2
H 0.681577 -1.239142 0.334053 -0.7 0.5 0.6
H -0.990223 -1.004112 1.087946 0.1 0.1 -0.1
H 0.107899 -3.285554 1.785367 -0.5 0.4 0.1
H -1.045304 -3.609385 0.471928 -0.7 -0.6 0.1
H 0.664440 -3.498614 0.204852 -0.3 0.4 -0.3
H 1.320697 -0.085443 3.472474 -0.1 0.1 0.0
H 1.181305 0.623388 2.135449 -0.3 0.1 0.3
O 1.835219 0.265502 2.740071 0.4 -0.2 -0.1
____________

[Solution]
C 1.999165 2.068621 -2.128808 1.3 -0.3 -0.1
O 1.554323 0.993591 -1.668320 -0.9 -0.1 -0.2
N 3.113933 2.618548 -1.586210 -1.0 -0.1 -0.2
N 1.575444 2.619054 -3.286966 -0.7 0.3 0.1
H 3.422496 2.208288 -0.724996 0.3 0.3 0.0
H 3.502461 3.459013 -1.976902 0.3 0.0 0.3
H 0.677398 2.342628 -3.648240 0.1 -0.3 0.1
H 1.856229 3.547615 -3.561359 0.2 -0.1 0.1
C -1.139109 0.228280 -3.793935 0.1 1.5 0.2
O -0.575676 -0.512522 -2.966376 -0.1 -1.0 0.8
N -1.358303 -0.145910 -5.071416 0.4 -0.5 0.5
N -1.467715 1.535277 -3.533349 0.1 -0.8 -0.5
H -0.937265 -1.017420 -5.355259 -0.2 -0.1 -0.1
H -2.156912 0.195923 -5.579912 0.1 0.1 -0.1
H -1.513886 1.918985 -2.609108 0.1 -0.1 0.1
H -1.576514 2.123518 -4.342840 -0.4 0.3 0.2
C -1.962799 0.430841 2.733221 -0.8 0.2 -1.1
O -1.297018 -0.390091 2.060054 0.7 -0.2 -0.1
N -2.526601 0.079507 3.895586 0.2 -0.2 0.4
N -2.321493 1.651079 2.229713 -0.1 -0.6 0.5
H -2.969110 0.725826 4.529045 0.0 0.2 -0.2
H -2.381721 -0.838543 4.280816 0.1 -0.1 -0.3
H -1.778915 2.072143 1.499352 0.1 0.1 0.1
H -2.928913 2.213248 2.803094 0.2 0.4 -0.2
```
Positions in Å, forces in eV/Å.

Results
total charge	+3
energy above the lowest of the compared OMol25 structures with the same formula, charge and spin	428.6	kJ/mol
HOMO level	-17.972	eV

---

No. 2
This record from OMol25 describes a cluster of 5 separate species, C6H24N2O4 in total. The level of theory is ωB97M-V with the def2-TZVPD basis set.

Geometry as XYZ:
```
36
Properties=species:S:1:pos:R:3:forces:R:3
N 0.819412 2.233632 -0.543477 -0.2 -0.2 1.1
C 1.466192 0.947186 -0.707801 1.1 -1.2 -2.6
C 2.973732 1.102535 -1.065060 0.7 1.0 0.4
C 0.803022 0.182857 -1.939488 1.9 1.6 0.0
N -0.551223 -0.216187 -1.706887 -2.0 -0.4 -0.9
C -0.868588 -1.527007 -1.108275 -0.7 0.6 1.2
C -0.364136 -1.572377 0.406925 1.2 -1.8 -2.5
C -0.178021 -3.054383 0.753978 0.7 -0.1 0.4
H 0.432373 2.313444 0.396449 0.2 0.3 -0.2
H 1.480331 2.991544 -0.657094 0.0 0.0 0.0
H 1.493614 0.277731 0.151683 -0.5 0.6 0.1
H 3.500328 1.045860 -0.070080 0.1 0.2 -1.3
H 3.179799 2.083535 -1.567064 -0.3 -0.4 0.8
H 3.442109 0.436810 -1.823572 -0.7 -0.3 0.9
H 1.563856 -0.629197 -2.161919 -1.1 0.4 -0.3
H 0.849142 1.034774 -2.760685 -0.2 -2.1 1.3